
Tuesday, June 28, 2011


I've been teaching myself to knit socks. This first one, shown here, was completely knit and re-knit maybe three times until I got it right. There was shrieking; there was hair-pulling. The dogs quickly learned that when the sock came out, they left the room.

However, the second sock (since finished) turned out to be an absolute breeze. All my hard-learned lessons--manipulating all those little poky needles, making heel flaps, turning the heel, working the gusset, and decreasing for the toe--just came together smoothly and the second sock was done practically painlessly. After all, I made all the possible mistakes on the first one!

=====
## PbO (PBE)

Data for an optimized crystal structure of PbO.

Cell lengths 6.1476, 5.7284, 4.8168 Å; angles 90.00, 90.00, 90.00 degrees
With the nearest neighbours (Å) after each atom.
Atoms (fractional coordinates):
Pb 0.2212 0.0180 0.2500  4 O 2.26-2.51
Pb 0.2212 0.4820 0.7500  4 O 2.26-2.51
Pb 0.7788 0.5180 0.2500  4 O 2.26-2.51
Pb 0.7788 0.9820 0.7500  4 O 2.26-2.51
O 0.1321 0.0939 0.7500  4 Pb 2.26-2.51
O 0.1321 0.4061 0.2500  4 Pb 2.26-2.51
O 0.8679 0.5939 0.7500  4 Pb 2.26-2.51
O 0.8679 0.9061 0.2500  4 Pb 2.26-2.51

## Properties
**Space group**: Pbcm (57)
**Calculated volume**: 170 Å³ per cell
**E_tot**: -5.437 eV/atom
**Energy of formation**: -1450 meV per atom

## Na6Ti6O13 (PBE)

Data for an optimized crystal structure of Na6Ti6O13.

Cell lengths 8.7866, 8.7866, 9.4714 Å; angles 106.20, 106.20, 26.53 degrees
With the nearest neighbours (Å) after each atom.
Atoms (fractional coordinates):
Na 0.0209 0.0209 0.1571  5 O 2.28-2.47
Na 0.0965 0.0965 0.5291  3 O 2.24-2.29
Na 0.4511 0.4511 0.2896  3 O 2.32-2.33
Na 0.5489 0.5489 0.7104  3 O 2.32-2.33
Na 0.9035 0.9035 0.4709  3 O 2.24-2.29
Na 0.9791 0.9791 0.8429  5 O 2.28-2.47
Ti 0.2605 0.2605 0.2164  2 O 1.83-1.97
Ti 0.3153 0.3153 0.5850  4 O 1.81-2.03
Ti 0.3743 0.3743 0.9267  5 O 2.00-2.09
Ti 0.6257 0.6257 0.0733  5 O 2.00-2.09
Ti 0.6847 0.6847 0.4150  4 O 1.81-2.03
Ti 0.7395 0.7395 0.7836  2 O 1.83-1.97
O 0.1382 0.1382 0.0883  3 Ti 2.03-2.10
O 0.1994 0.1994 0.4194  3 Ti 2.03-2.15
O 0.2623 0.2623 0.7641  4 Ti 2.07-2.14
O 0.3289 0.3289 0.0997  2 Ti 1.83-2.00
O 0.3484 0.3484 0.4044  2 Ti 1.95-1.97
O 0.4147 0.4147 0.7208  1 Ti 1.81
O 0.5000 0.5000 0.0000  2 Ti 2.06
O 0.5853 0.5853 0.2792  1 Ti 1.81
O 0.6516 0.6516 0.5956  2 Ti 1.95-1.97
O 0.6711 0.6711 0.9003  2 Ti 1.83-2.00
O 0.7377 0.7377 0.2359  4 Ti 2.07-2.14
O 0.8006 0.8006 0.5806  3 Ti 2.03-2.15
O 0.8618 0.8618 0.9117  3 Ti 2.03-2.10

## Properties
**Total moment**: 2.05 μB per formula unit
**Space group**: C2/m (12)
**Calculated volume**: 313 Å³ per cell
**E_tot**: -7.134 eV/atom
**Energy of formation**: -2706 meV per atom

## In3Cu3SiSe8 (PBE)

Data for an optimized crystal structure of In3Cu3SiSe8.

Cell lengths 5.8823, 5.8823, 11.0850 Å; angles 90.00, 90.00, 90.00 degrees
With the nearest neighbours (Å) after each atom.
Atoms (fractional coordinates):
In 0.0000 0.0000 0.0000  4 Se 2.64
In 0.0000 0.5000 0.2661  4 Se 2.65-2.66
In 0.5000 0.0000 0.7339  4 Se 2.65-2.66
Cu 0.0000 0.5000 0.7359  4 Se 2.45
Cu 0.5000 0.0000 0.2641  4 Se 2.45
Cu 0.5000 0.5000 0.0000  4 Se 2.46
Si 0.5000 0.5000 0.5000  4 Se 2.32
Se 0.2399 0.2733 0.6018  1 Si 2.32, 1 Cu 2.45
Se 0.2493 0.7219 0.8674  2 Cu 2.45-2.46, 2 In 2.64-2.65
Se 0.2733 0.7601 0.3982  1 Si 2.32, 1 Cu 2.45
Se 0.2781 0.2493 0.1326  2 Cu 2.45-2.46, 2 In 2.64-2.65
Se 0.7219 0.7507 0.1326  2 Cu 2.45-2.46, 2 In 2.64-2.65
Se 0.7267 0.2399 0.3982  1 Si 2.32, 1 Cu 2.45
Se 0.7507 0.2781 0.8674  2 Cu 2.45-2.46, 2 In 2.64-2.65
Se 0.7601 0.7267 0.6018  1 Si 2.32, 1 Cu 2.45

## Properties
=====

The design looks a lot more complicated than it actually is, because it is made with self-striping yarn that gives it almost a Fair Isle look, when all along it is just straight knitting, right from the ball of yarn.

Yarn: Heart and Sole by Red Heart. 70% wool superwash, 30% nylon. It has aloe vera added! The pattern called for 2 balls, but there was a lot left over from the second one.

Pattern: LW 1619 Self-Striping Knit Socks (downloadable for free).


  1. But did you finish it with my nemesis, the kitchener?

  2. Beautiful! And beautiful photo on your homepage.

  3. Oh, Mary, the Kitchener Stitch! The first time was a nightmare; the second... still a nightmare! I finally found some directions that made sense to me, but somehow remember reading elsewhere that the stitches should not all be drawn up until the end. Not so, not so, cries the embittered and weeping sock knitter.

    It is almost impossible to draw up the stitches at the end, as they come from such mysterious places. As much as I decry the overuse of the word "epic" these days, I have to tell you it was a struggle of EPIC proportions. I used a lighted magnifying thingy hanging around my neck. I used every tiny tool I own (and dropped them, lost them, found them). I worked and worked at finding the source of each loopy piece of yarn. I worked for hours. I frightened the dogs once again with my shrieking and gnashing. Bill retreated to his man cave.

    With only the last two loops remaining, I then found myself in a struggle of MYTHIC proportions. These loops were infinite, with no beginning, no end. Hours into the search for the ying and the yang of my leftover loops, I finally (looking over my shoulder) compromised. The last two stitches of my sock project, and I compromised. I pulled the loops to the inside and, muttering and weeping, sewed the dang things together.

    I will never be able to show these socks to my knitting group. I will probably have to limp when wearing them because of that bad final toe graft.

    Mary, Mary. You saw right through me. You knew I spoke too soon about sailing right through that second sock. Bring sock knitting when you visit. We can practice wailing and gnashing.

    And, Auntie, thank you. I wish my header photo showed the green bark of that palo verde tree a little better. It was amazing.

  4. How do you wash them ? Hand or machine ...

    I never learned to knit. So, I am in awe of your talent.

  5. JC, after what I've been through with these socks, I plan to wash them by hand. I left them on the table in the living room last night and the cats played with them. Yikes.

  6. Two sock knitters wailing and gnashing... Sounds like Dante's seventh ring of the Inferno. Bill has it right, to the Man Cave!!!

  7. You're doing a great job with the socks. I like the colours too. I haven't graduated from dishcloths yet though I did knit one or two pair of slippers some time back ;-)
